Copy the part of the listing further down that starts with the line with "2.79179 -2.12512" and stops after the one with "0.65956", please.

+++
Entry 1:
This record from the Open Molecules 2025 dataset describes C56H54BrFN6O5PbS3 as an isolated structure. The level of theory is ωB97M-V with the def2-TZVPD basis set.

Geometry as ORCA input:
```
! wB97M-V def2-TZVPD RIJCOSX def2/J DEFGRID3
* xyz 2 1
Pb -0.89160 0.74304 1.26774
F 4.04028 -0.21639 -2.10101
C 2.91221 0.20643 -2.71317
C 2.07762 1.01792 -2.01108
C 0.88666 1.47375 -2.57028
C -0.06648 2.19455 -1.72115
O 0.19707 2.38346 -0.52504
C -1.29626 2.57031 -2.38061
C -1.47887 2.25352 -3.69371
N -0.57986 1.61354 -4.46296
C -0.88117 1.39168 -5.86660
C 0.03336 1.97160 -6.90325
C -1.32284 2.56450 -6.68497
C 0.60145 1.14085 -3.88953
C 1.46758 0.30521 -4.60057
C 2.61293 -0.22132 -4.01998
N 3.42425 -1.11971 -4.74907
C 4.69174 -1.62740 -4.21208
C 5.41435 -2.40088 -5.32441
N 4.98520 -1.82332 -6.64386
C 3.54220 -2.16642 -6.92779
C 2.79179 -2.12512 -5.59703
C -2.44431 3.28420 -1.75419
O -3.54800 3.32000 -2.23225
O -2.09312 3.98365 -0.66539
H 2.31983 1.29406 -0.99105
H -2.40333 2.53205 -4.18029
H -1.34169 0.43235 -6.06896
H 0.20392 1.38939 -7.80003
H 0.88958 2.54061 -6.56269
H -2.09829 2.40548 -7.42087
H -1.36821 3.52530 -6.18856
H 1.23407 0.08061 -5.63131
H 4.55268 -2.28950 -3.35562
H 5.30906 -0.79398 -3.89588
H 5.15782 -3.45674 -5.34213
H 6.49183 -2.31002 -5.22879
H 5.58754 -2.12859 -7.40441
H 5.05772 -0.80873 -6.57550
H 3.50682 -3.15347 -7.38470
H 3.16784 -1.43199 -7.63682
H 2.82689 -3.10463 -5.10538
H 1.74560 -1.90632 -5.77293
O -1.29542 -1.25191 2.77477
S -0.52404 -2.56248 2.71078
C -0.70286 -3.31531 4.30918
C -1.96175 -3.57720 4.83870
C -2.05062 -4.10578 6.11449
C -0.89335 -4.37122 6.84486
C 0.35682 -4.10695 6.30653
C 0.45747 -3.56872 5.02745
C -1.52419 -3.68143 1.75025
C -1.05525 -4.97413 1.54265
C -1.79804 -5.83294 0.74994
C -2.98294 -5.39063 0.16927
C -3.42932 -4.09328 0.37918
C -2.69294 -3.22124 1.17145
H -2.85425 -3.36562 4.25736
H -3.02307 -4.31550 6.54296
H -0.97236 -4.79159 7.83924
H 1.25244 -4.31112 6.87870
H 1.42529 -3.34164 4.59359
H -0.13071 -5.30481 2.00810
H -1.45450 -6.84680 0.58134
H -3.56161 -6.06513 -0.45024
H -4.34892 -3.75630 -0.08154
H -3.00905 -2.19985 1.34364
S -3.25304 5.03185 -0.05349
C -2.18066 5.83275 1.09388
C -2.79899 6.72323 1.97081
C -2.03606 7.40858 2.90212
C -0.66048 7.21484 2.96462
C -0.05262 6.33606 2.07796
C -0.80398 5.63363 1.13979
H -3.87110 6.89041 1.91651
H -2.52017 8.10771 3.57459
H -0.06661 7.75656 3.69217
H 1.02310 6.19555 2.09801
H -0.32064 4.95112 0.45346
Br -6.50101 2.44263 2.96297
C -5.59598 1.54363 1.57831
C -6.28318 0.93493 0.54636
C -5.55078 0.27750 -0.43135
C -4.17286 0.25293 -0.33481
N -3.51447 0.86067 0.65956
C -4.21340 1.49907 1.60202
H -7.36452 0.97263 0.50698
H -6.04854 -0.20815 -1.25986
H -3.56373 -0.26804 -1.06844
H -3.65424 1.97624 2.40076
S -0.85943 -1.01870 -0.81552
C 0.32785 -2.29489 -1.10031
C 0.08225 -3.17884 -2.16394
C 0.94668 -4.23095 -2.43204
C 2.08475 -4.42987 -1.65227
C 2.34142 -3.55764 -0.60333
C 1.47390 -2.50582 -0.33169
H -0.81735 -3.04214 -2.75532
H 0.71307 -4.92561 -3.23257
H 2.74511 -5.26753 -1.84511
H 3.21627 -3.70540 0.02137
H 1.67629 -1.84914 0.50383
C -0.80654 0.27535 5.67758
C -1.94850 1.04046 5.07208
C -3.21455 1.15056 5.87644
O -1.86221 1.55001 3.96882
H -1.10526 -0.76679 5.82088
H -0.56798 0.68458 6.66278
H 0.06604 0.31013 5.02756
H -3.00454 1.28784 6.93766
H -3.77368 0.21419 5.77033
H -3.83420 1.96322 5.50174
N 2.22578 3.13076 4.03340
C 1.06745 2.69436 3.48254
N 1.25082 1.75437 2.59302
C 2.63689 1.56041 2.54236
C 3.40500 0.69930 1.75924
C 4.77658 0.71979 1.92935
C 5.38694 1.58050 2.85636
C 4.64267 2.44847 3.62937
C 3.26269 2.42149 3.44715
H 2.31145 3.86282 4.71604
H 0.10086 3.08641 3.76730
H 2.94068 0.04458 1.03111
H 5.39704 0.05801 1.33720
H 6.46504 1.56901 2.95966
H 5.11204 3.11844 4.33947
*
```

Summary:
HOMO-LUMO gap: 6.7 eV
Relative energy (zero: lowest compared OMol25 entry of this formula, charge and spin): 105.65 kJ/mol
HOMO energy: -0.410 hartree
Largest force on an atom: 0.6 eV Å⁻¹
E: -188628.5609 eV


Entry 2:
+++

C 2.79179 -2.12512 -5.59703
C -2.44431 3.28420 -1.75419
O -3.54800 3.32000 -2.23225
O -2.09312 3.98365 -0.66539
H 2.31983 1.29406 -0.99105
H -2.40333 2.53205 -4.18029
H -1.34169 0.43235 -6.06896
H 0.20392 1.38939 -7.80003
H 0.88958 2.54061 -6.56269
H -2.09829 2.40548 -7.42087
H -1.36821 3.52530 -6.18856
H 1.23407 0.08061 -5.63131
H 4.55268 -2.28950 -3.35562
H 5.30906 -0.79398 -3.89588
H 5.15782 -3.45674 -5.34213
H 6.49183 -2.31002 -5.22879
H 5.58754 -2.12859 -7.40441
H 5.05772 -0.80873 -6.57550
H 3.50682 -3.15347 -7.38470
H 3.16784 -1.43199 -7.63682
H 2.82689 -3.10463 -5.10538
H 1.74560 -1.90632 -5.77293
O -1.29542 -1.25191 2.77477
S -0.52404 -2.56248 2.71078
C -0.70286 -3.31531 4.30918
C -1.96175 -3.57720 4.83870
C -2.05062 -4.10578 6.11449
C -0.89335 -4.37122 6.84486
C 0.35682 -4.10695 6.30653
C 0.45747 -3.56872 5.02745
C -1.52419 -3.68143 1.75025
C -1.05525 -4.97413 1.54265
C -1.79804 -5.83294 0.74994
C -2.98294 -5.39063 0.16927
C -3.42932 -4.09328 0.37918
C -2.69294 -3.22124 1.17145
H -2.85425 -3.36562 4.25736
H -3.02307 -4.31550 6.54296
H -0.97236 -4.79159 7.83924
H 1.25244 -4.31112 6.87870
H 1.42529 -3.34164 4.59359
H -0.13071 -5.30481 2.00810
H -1.45450 -6.84680 0.58134
H -3.56161 -6.06513 -0.45024
H -4.34892 -3.75630 -0.08154
H -3.00905 -2.19985 1.34364
S -3.25304 5.03185 -0.05349
C -2.18066 5.83275 1.09388
C -2.79899 6.72323 1.97081
C -2.03606 7.40858 2.90212
C -0.66048 7.21484 2.96462
C -0.05262 6.33606 2.07796
C -0.80398 5.63363 1.13979
H -3.87110 6.89041 1.91651
H -2.52017 8.10771 3.57459
H -0.06661 7.75656 3.69217
H 1.02310 6.19555 2.09801
H -0.32064 4.95112 0.45346
Br -6.50101 2.44263 2.96297
C -5.59598 1.54363 1.57831
C -6.28318 0.93493 0.54636
C -5.55078 0.27750 -0.43135
C -4.17286 0.25293 -0.33481
N -3.51447 0.86067 0.65956